• Listing:
'''
Record 1
First-principles (GGA-PBE) data for crystalline Bi6Te at its relaxed geometry, as listed in the Alexandria database.

abc: 7.539 7.539 7.539
angles: 109.47 109.47 109.47
Element x y z (fractional)
1 Bi 0.250 0.750 0.500
2 Bi 0.500 0.750 0.250
3 Bi 0.250 0.500 0.750
4 Bi 0.750 0.250 0.500
5 Bi 0.500 0.250 0.750
6 Bi 0.750 0.500 0.250
7 Te 0.000 0.000 0.000

Properties
As for the raw formation energy: 0.391 eV/atom. The calculation puts the spin magnetization at 0.0 Bohr magnetons per cell. Its space group is Im-3m.

***

Record 2
First-principles (GGA-PBE) data for crystalline Ba4Be at its relaxed geometry, as listed in the Alexandria database.

abc: 6.522 6.522 6.522
angles: 90.00 90.00 90.00
Element x y z (fractional)
1 Be 0.500 0.500 0.500
2 Ba 0.000 0.000 0.000
3 Ba 0.500 0.000 0.500
4 Ba 0.000 0.500 0.500
5 Ba 0.500 0.500 0.000

Properties
The energy above the lowest structure with this stoichiometry is 72 meV per atom. The calculation puts the formation energy at 0.301 eV/atom. The calculation puts the spin magnetization at 0.0 Bohr magnetons per cell. Its space group is Pm-3m.

***

Record 3
First-principles (GGA-PBE) data for crystalline YTl at its relaxed geometry, as listed in the Alexandria database.

abc: 3.690 3.690 4.983
angles: 90.00 90.00 120.00
Each line ends with the local moment (μB).
Element x y z (fractional)
1 Tl 0.000 0.000 0.000  0.00
2 Y 0.667 0.333 0.500  0.15

Properties
The calculation puts the formation energy at -0.227 eV/atom. The calculation puts the spin magnetization at 0.3 Bohr magnetons per cell. Its space group is P-6m2.

***

Record 4
First-principles (GGA-PBE) data for crystalline Sc2VCd at its relaxed geometry, as listed in the Alexandria database.

abc: 3.052 3.052 10.696
angles: 81.80 81.80 60.00
Each line ends with the local moment (μB).
Element x y z (fractional)
1 Sc 0.084 0.084 0.748  0.07
2 Sc 0.916 0.916 0.252  0.07
3 V 0.000 0.000 0.000  1.80
4 Cd 0.500 0.500 0.500  0.01

Properties
The calculation puts the formation energy at 0.442 eV/atom. The calculation puts the spin magnetization at 2.2 Bohr magnetons per cell. Its space group is R-3m.

***

Record 5
First-principles (GGA-PBE) data for crystalline Ca2TlSe at its relaxed geometry, as listed in the Alexandria database.

abc: 6.807 6.807 6.807
angles: 142.48 142.48 54.10
Element x y z (fractional)
1 Tl 0.750 0.250 0.500
2 Ca 0.000 0.000 0.000
3 Ca 0.250 0.750 0.500
4 Se 0.500 0.500 0.000

Properties
As for the raw formation energy: -0.809 eV/atom. The energy above the lowest structure with this stoichiometry is 289 meV per atom. The calculation puts the spin magnetization at 0.0 Bohr magnetons per cell. Its space group is I-4m2.

***

Record 6
First-principles (GGA-PBE) data for crystalline LiTmZr2Rh4 at its relaxed geometry, as listed in the Alexandria database.

abc: 4.588 4.588 7.978
angles: 73.29 73.29 60.00
Element x y z (fractional)
1 Li 0.500 0.500 0.500
2 Tm 0.000 0.000 0.000
3 Zr 0.757 0.757 0.729
4 Zr 0.243 0.243 0.271
5 Rh 0.376 0.376 0.871
6 Rh 0.875 0.875 0.374
7 Rh 0.125 0.125 0.626
8 Rh 0.624 0.624 0.129

Properties
The calculation puts the formation energy at -0.758 eV/atom. The calculation puts the spin magnetization at 0.0 Bohr magnetons per cell. Its space group is R-3m.

***

Record 7
First-principles (GGA-PBE) data for crystalline HgBi2Se4 at its relaxed geometry, as listed in the Alexandria database.

abc: 8.560 8.560 8.567
angles: 59.96 59.96 89.95
Element x y z (fractional)
1 Hg 0.875 0.625 0.750
2 Hg 0.125 0.375 0.250
3 Bi 0.500 0.500 0.500
4 Bi 0.500 0.000 0.500
5 Bi 0.000 0.000 0.000
6 Bi 0.500 0.000 0.000
7 Se 0.255 0.766 0.989
8 Se 0.745 0.234 0.011
9 Se 0.266 0.755 0.489
10 Se 0.255 0.245 0.510
11 Se 0.255 0.245 0.990
12 Se 0.745 0.755 0.490
13 Se 0.734 0.245 0.511
14 Se 0.745 0.755 0.010

Properties
'''

• Assignment:
The reader should search the entries above for the word "Tl" and return each line that has it.

• Here it is:
1 Tl 0.000 0.000 0.000  0.00
1 Tl 0.750 0.250 0.500